Cats and Dogs both suffer from an array of different skin conditions, but there are a few of these pet skin conditions that are very common, here is a brief summery.
Fleas are probably the most common cause of skin conditions in dogs and cats.
Some dogs and cats are more sensitive to flea bites than others, with many developing allergies. Allergies to fleas is caused by the fleas saliva and even one flea bit to a sensitive pet can cause a more serious skin condition.
Between two parts of the text: records of crystals:
____________
{"formula": "ZrTl3N", "functional": "PBE", "state": "optimized geometry", "cell": [[4.864, 0.000, 0.000], [0.000, 4.864, 0.000], [0.000, 0.000, 4.864]], "species": ["Tl", "Tl", "Tl", "Zr", "N"], "frac_coords": [[0.000, 0.500, 0.000], [0.000, 0.000, 0.500], [0.500, 0.000, 0.000], [0.500, 0.500, 0.500], [0.000, 0.000, 0.000]], "space_group": "Pm-3m (221)", "e_tot_ev_per_cell": -19.36, "de_polymorph_ev_per_atom": 0.000, "raw_formation_energy_ev_per_atom": 0.92}

~~~~~

1.
{"formula": "CsAgHg2H", "functional": "GGA-PBE", "state": "optimized geometry", "lattice": [[5.013, 0.000, 0.000], [0.000, 5.013, 0.000], [0.000, 0.000, 5.540]], "species": ["Cs", "Ag", "Hg", "Hg", "H"], "frac_coords": [[0.000, 0.000, 0.000], [0.500, 0.500, 0.000], [0.000, 0.500, 0.500], [0.500, 0.000, 0.500], [0.000, 0.000, 0.500]], "m_tot_mub_per_cell": 0.0, "energy_ev_per_atom": -1.260, "vol_a3_per_fu": 139}

2.
{"formula": "Cs2AgPb2F7", "functional": "GGA-PBE", "state": "optimized geometry", "lattice": [[3.129, -3.563, 0.000], [3.129, 3.563, 0.000], [-2.253, 0.000, 12.379]], "species": ["Cs", "Cs", "Ag", "Pb", "Pb", "F", "F", "F", "F", "F", "F", "F"], "frac_coords": [[0.206, 0.206, 0.374], [0.794, 0.794, 0.626], [0.000, 0.000, 0.000], [0.365, 0.365, 0.817], [0.635, 0.635, 0.183], [0.132, 0.749, 0.162], [0.251, 0.868, 0.838], [0.279, 0.279, 0.608], [0.500, 0.500, 0.000], [0.721, 0.721, 0.392], [0.749, 0.132, 0.162], [0.868, 0.251, 0.838]], "m_tot_mub_per_cell": 0.0, "energy_ev_per_atom": -4.283, "vol_a3_per_fu": 276}

3.
{"formula": "LiZrTc2", "functional": "GGA-PBE", "state": "optimized geometry", "lattice": [[-2.230, 2.230, 3.163], [2.230, -2.230, 3.163], [2.230, 2.230, -3.163]], "species": ["Li", "Zr", "Tc", "Tc"], "frac_coords": [[0.000, 0.000, 0.000], [0.750, 0.250, 0.500], [0.250, 0.750, 0.500], [0.500, 0.500, 0.000]], "formation_enthalpy_0k_ev_per_atom": 0.057, "m_tot_mub_per_cell": 0.0, "vol_a3_per_fu": 63}

4.
{"formula": "Tb4SmY2", "functional": "GGA-PBE", "state": "optimized geometry", "lattice": [[6.179, 0.000, 0.000], [0.000, 6.568, 0.000], [-2.817, 0.000, 11.188]], "species": ["Tb", "Tb", "Tb", "Tb", "Tb", "Tb", "Tb", "Tb", "Sm", "Sm", "Y", "Y", "Y", "Y"], "frac_coords": [[0.143, 0.007, 0.288], [0.143, 0.493, 0.288], [0.208, 0.250, 0.570], [0.346, 0.750, 0.844], [0.654, 0.250, 0.156], [0.792, 0.750, 0.430], [0.857, 0.507, 0.712], [0.857, 0.993, 0.712], [0.469, 0.750, 0.146], [0.531, 0.250, 0.854], [0.106, 0.250, 0.996], [0.354, 0.750, 0.556], [0.646, 0.250, 0.444], [0.894, 0.750, 0.004]], "formation_enthalpy_0k_ev_per_atom": 0.126, "m_tot_mub_per_cell": 0.0, "vol_a3_per_fu": 227}

5.
____________
The text goes on:
Atopy is another very common skin disease in both dogs and cats. Atopy is a reaction to an environmental allergen. In other words, it is an allergic reaction to something your pet is encountering where he spends time – For example your pet can develop an allergy to air bourn pollen or just from walking through grass..
Next to the entry, the page also holds calculated crystals:
┌──
No. 1
The following is a GGA-PBE calculation of an optimized crystal structure of LaCdP2, from Alexandria.

a b c (Å): 4.993 4.993 4.993
angles (deg): 125.68 109.63 94.63
Fractional coordinates of all 4 atoms:
P (0.031, 0.031, 0.000)
P (0.469, 0.469, 0.000)
Cd (0.250, 0.750, 0.500)
La (0.750, 0.250, 0.500)

Computed properties:
ΔE_f in eV per atom: -0.514
N(E_F) in states/eV/atom: 0.42
Total moment in μB per atom: 0.000
Symmetry: Immm, No. 71
Energy relative to the lowest polymorph listed for this composition in meV per atom: 122

***

No. 2
The following is a GGA-PBE calculation of an optimized crystal structure of Cr2TeIr, from Alexandria.

a b c (Å): 4.650 4.650 3.076
angles (deg): 90.00 90.00 107.21
Last column: magnetic moment on the atom in μB.
Fractional coordinates of all 4 atoms:
Te (0.000, 0.500, 0.500)  -0.10
Ir (0.500, 0.000, 0.500)  0.12
Cr (0.000, 0.000, 0.000)  2.49
Cr (0.500, 0.500, 0.000)  2.49

Computed properties:
N(E_F) in states/eV/atom: 1.12
Total moment in μB per atom: 1.332
Symmetry: Cmmm, No. 65
Formation energy (no corrections) in kJ/mol of formula units: 135

***

No. 3
The following is a GGA-PBE calculation of an optimized crystal structure of Ca2H3Br, from Alexandria.

a b c (Å): 3.899 3.899 6.865
angles (deg): 90.00 90.00 120.00
Fractional coordinates of all 6 atoms:
Ca (0.667, 0.333, 0.815)
Ca (0.333, 0.667, 0.185)
H (0.000, 0.000, 0.000)
H (0.333, 0.667, 0.852)
H (0.667, 0.333, 0.148)
Br (0.000, 0.000, 0.500)

Computed properties:
N(E_F) in states/eV/atom: 0.00
Total moment in μB per atom: 0.000
Symmetry: P-3m1, No. 164
Electronic total energy in hartree per atom: -0.131

***

No. 4
The following is a GGA-PBE calculation of an optimized crystal structure of YZnW2, from Alexandria.

a b c (Å): 5.588 5.588 5.588
angles (deg): 144.20 133.00 60.46
Fractional coordinates of all 4 atoms:
Y (0.250, 0.750, 0.500)
W (0.990, 0.990, 0.000)
W (0.510, 0.510, 0.000)
Zn (0.750, 0.250, 0.500)

Computed properties:
ΔE_f in eV per atom: 0.484
N(E_F) in states/eV/atom: 1.08
Total moment in μB per atom: 0.000
Symmetry: Immm, No. 71

***

Q: Among the records above, which one has the lowest N(E_F)?
A: Ca2H3Br

***

Q: Which of these has the lowest N(E_F)?
A: Ca2H3Br
└──
Common causes of atopy include pollens, grasses, and dust mites. However, anything in your pet’s environment can be capable of causing atopy including bedding…
Food allergies
Food allergies can cause skin disease in both dogs and cats. The allergy is normally to a substance within the food that is being consumed. Common allergies include beef, poultry, and grains such as corn. However, individual pets can develop allergies to anything within the food, including preservatives or other additives. Some dogs and cats are very sensitive and may need special diets to prevent problems.
Yeast and bacterial skin infections
Skin infections caused by yeast and/or bacteria are common as secondary causes of skin disease. However, they rarely are the sole or primary cause of skin disease for pets. Skin infections are frequently seen as a complication when a pet is suffering from a flea allergy, atopy or a food allergy.
Secondary skin infections can make a dog or cat very itchy and typically need to be treated. Where possible, the underlying cause needs to be treated as well and may include appropriate measures to eliminate fleas and/or changes in diet to treat a food allergy.
== What comes next are data records, not part of the text ==
~~~
(1)
DFT (PBE) results for a relaxed InSnPbCl5 crystal.

a = 7.9117 Å, b = 7.9117 Å, c = 11.3576 Å
α = 112.83°, β = 112.83°, γ = 97.22°
Closest atoms and distances in Å follow each position.
Fractional coordinates of all 16 atoms:
In 0.3057 0.6943 0.2500  3 Cl 2.99-3.22
In 0.6943 0.3057 0.7500  3 Cl 2.99-3.22
Sn 0.7491 0.2509 0.2500  4 Cl 2.59-2.86
Sn 0.2509 0.7491 0.7500  4 Cl 2.59-2.86
Pb 0.0000 0.0000 0.5000  6 Cl 2.91-2.94
Pb 0.0000 0.0000 0.0000  6 Cl 2.91-2.94
Cl 0.0540 0.9460 0.2500  2 Pb 2.91, 1 In 2.99
Cl 0.9460 0.0540 0.7500  2 Pb 2.91, 1 In 2.99
Cl 0.8980 0.3544 0.0863  1 Sn 2.86, 1 Pb 2.92
Cl 0.1020 0.6456 0.9137  1 Sn 2.86, 1 Pb 2.92
Cl 0.6456 0.1020 0.4137  1 Sn 2.86, 1 Pb 2.92
Cl 0.3544 0.8980 0.5863  1 Sn 2.86, 1 Pb 2.92
Cl 0.7920 0.6047 0.4195  1 Sn 2.59
Cl 0.2080 0.3953 0.5805  1 Sn 2.59
Cl 0.3953 0.2080 0.0805  1 Sn 2.59
Cl 0.6047 0.7920 0.9195  1 Sn 2.59

Computed properties:
magnetization: 0.00 μB/f.u.
theoretical density: 3.59 g/cm3
symmetry: C2/c
density of states at the Fermi level: 0.00 states/eV/cell
raw formation energy: -992 meV/atom

(2)
DFT (PBE) results for a relaxed SrInPb2Cl crystal.

a = 5.6611 Å, b = 5.5244 Å, c = 5.6611 Å
α = 90.00°, β = 90.00°, γ = 90.00°
Closest atoms and distances in Å follow each position.
Fractional coordinates of all 5 atoms:
Pb 0.0000 0.0000 0.5000  2 Cl 2.83
Pb 0.5000 0.0000 0.0000  2 Cl 2.83
Sr 0.0000 0.5000 0.0000  2 Cl 2.76
Cl 0.0000 0.0000 0.0000  2 Sr 2.76, 4 Pb 2.83
In 0.5000 0.5000 0.5000  8 Pb 3.95, 4 Sr 4.00

Computed properties:
magnetization: 0.00 μB/f.u.
theoretical density: 6.12 g/cm3
symmetry: P4/mmm
density of states at the Fermi level: 2.05 states/eV/cell
raw formation energy: -240 meV/atom

(3)
DFT (PBE) results for a relaxed TbInPb2Cl8 crystal.

a = 6.8584 Å, b = 6.5750 Å, c = 8.9332 Å
α = 90.00°, β = 90.00°, γ = 89.20°
Closest atoms and distances in Å follow each position.
Fractional coordinates of all 12 atoms:
Tb 0.0000 0.0000 0.0000  6 Cl 2.66-2.70
In 0.0000 0.0000 0.5000  6 Cl 3.10-3.15
Pb 0.5000 0.5000 0.7490  6 Cl 2.83-3.09
Pb 0.5000 0.5000 0.2510  6 Cl 2.83-3.09
Cl 0.1604 0.7714 0.2147  1 Tb 2.66, 1 Pb 2.93
Cl 0.6880 0.7537 0.0000  1 Tb 2.70
Cl 0.8395 0.2285 0.2147  1 Tb 2.66, 1 Pb 2.93
Cl 0.8396 0.2286 0.7853  1 Tb 2.66, 1 Pb 2.93
Cl 0.3120 0.2463 0.0000  1 Tb 2.70
Cl 0.1605 0.7715 0.7853  1 Tb 2.66, 1 Pb 2.93
Cl 0.6396 0.7219 0.5000  2 Pb 2.83, 1 In 3.10
Cl 0.3604 0.2781 0.5000  2 Pb 2.83, 1 In 3.10

Computed properties:
magnetization: 0.00 μB/f.u.
theoretical density: 4.01 g/cm3
symmetry: P2/m
density of states at the Fermi level: 0.00 states/eV/cell
raw formation energy: -1467 meV/atom

* * * * *

PBE Ac8GeRu3Cl4, relaxed; calculated total energy = -5.54 eV per atom; raw formation energy = -0.996 eV per atom
1.0
-7.540 2.235 -3.912
1.769 -6.073 -6.879
-0.056 -3.004 8.252
Ac Ge Ru Cl
8 1 3 4
direct
0.242 0.700 0.959
0.242 0.700 0.484
0.261 0.285 0.523
0.717 0.700 0.959
0.283 0.300 0.041
0.739 0.715 0.477
0.758 0.300 0.516
0.758 0.300 0.041
0.000 0.500 0.000
~~~
Mange is the term used to describe skin diseases caused by mites in dogs and cats. There are several different types of mange.
- Demodectic mange is caused by a mite known as Demodex. It is most commonly seen in puppies but can occur in mature dogs as well. There is a form of demodectic mange seen in cats also. However, mange is much less common in cats than in dogs.
- Sarcoptic mange, also called scabies, is caused by a mite known as Sarcoptes scabeii. Sarcoptic mange is troublesome because it is also contagious to people.
There are other forms of mange also. However, demodectic and sarcoptic mange are the most commonly diagnosed.
Ringworm is fortunately not as common as a cause of skin disease as the other diseases listed above. However, ringworm is especially problematic because it is contagious to people as well as other pets. It is also difficult to rid an infected environment of the fungi that causes ringworm.
Ringworm is also sometimes referred to as dermatophytosis. It is not as the name implies caused by a worm. It is actually a fungal skin disease. There are several different types of fungi that can cause ringworm in pets.
All of these skin conditions can be cured or managed with a little help. Firstly find the cause and prevent any further contact/ damage by treating the infected area. Secondly use a healing cream and shampoo to help heal the physical symptoms. Here at Dermagic UK we can help advise you on how to help your pet get back to normal, be it hair loss or itchy red swollen skin. – We have the Dermagic system to suit you!